With the demands of the modern age in the area of technology, IT, and education in mind,Fryganiotis School created fully equipped IT labs..
The school has state-of-the-art multi-media computers connected to a local area network and to the Internet (leased ADSL line).The interactive whiteboardsincrease the students' enthusiasm, interest and participation so that they are more attentive and perform better thanks to the power of interaction. It also helps them to better absorb complex concepts.
Different learning models (auditory, visual, kinaesthetic) are used to offer students the opportunity to participate and work together for better learning.
In order to achieve this important goal, which is the broader use of the computer from initially becoming familiar with it and learning how to operate it to the level of being fully trained, IT instruction begins in Kindergarten.
Our aim is not the exhausting and pointless occupation of the children through computers. We rely on educational programmes,that seek to develop an appropriate relationshipbetween children and computers and to help them understand and use modern technologies.
The educational activities allowing children to learn about computers and new technologies start in Kindergarten, where they aim at developing the following basic areas:
- Acquaintance with computers.
- Familiarisation with the mouse and keyboard through educational applications such as mazes, memory games and observation exercises.
- Learning numbers, letters, words and complete sentences through original and entertaining educational programs.
- Practise with drawing geometrical shapes and colours through special drawing and painting applications.
The introduction of students in First, Second and Third Year of Primary School to IT isachieved through specific books and a number of educational applications which help them to learn how to use computers and acquire the skills needed for the basic operations, and which stimulate their imagination and creativity.
The students must also understand and learn about all the precautions they need to take; the habits they should adopt when using computers; to comprehend the basic issues related to ergonomics and proper way to position their hands, the appropriate lighting near the computer, among others.
The students in First and Second Year of Primary School are taught the special terminology of Information Technology (CPU, RAM, Byte, etc.)
They become familiar with the equipment and technical characteristics of the computer (input and output devices, peripherals).
They are taught to use the word processing application (fonts, letter size, saving and printing documents), as well as the spreadsheet software (rows, columns, cells, graphs).
The students in the Third Year of Primary School understand and learn more about the 'software' and 'hardware' of a computer.
They are taught the word processing application (typing and text formatting), the spreadsheet application (create and format worksheets, formulas, graphs) and the database application (understanding fields, data entry and files).
4th - 5th - 6th YEAR PRIMARY SCHOOL:
The students in Fourth, Fifth and Sixth Year of Primary School are taught the following seven modules:
1. Basic concepts of IT
2. Using a computer
3. Word processing
_The entry is interrupted by crystal structures_
(1)
A plane-wave DFT calculation with GGA-PBE was carried out for a relaxed BeCuRu2 crystal.

Cell lengths 2.7788, 2.7788, 6.2127 Å; angles 90.00, 90.00, 90.00 degrees
Closest atoms and distances in Å follow each position.
Fractional positions:
Ru (0.0000, 0.0000, 0.0365)  4 Be 2.37, 4 Cu 2.65, 1 Ru 2.65
Ru (0.0000, 0.0000, 0.4636)  4 Be 2.37, 4 Cu 2.65, 1 Ru 2.65
Cu (0.5000, 0.5000, 0.7500)  8 Ru 2.65, 4 Cu 2.78
Be (0.5000, 0.5000, 0.2500)  8 Ru 2.37

**ΔE_f**: 0.07 eV per atom
**SG**: No. 123

(2)
A plane-wave DFT calculation with GGA-PBE was carried out for a relaxed Mg3Si4 crystal.

Cell lengths 7.0826, 7.0962, 11.6648 Å; angles 70.06, 82.65, 70.59 degrees
Closest atoms and distances in Å follow each position.
Fractional positions:
Mg (0.2964, 0.7568, 0.4635)  6 Si 2.72-2.97
Mg (0.5945, 0.0991, 0.3761)  5 Si 2.70-2.93, 1 Mg 3.02
Mg (0.1304, 0.0036, 0.9577)  4 Si 2.68-2.88
Mg (0.9235, 0.6703, 0.1018)  6 Si 2.76-3.00, 1 Mg 3.09
Mg (0.7422, 0.8011, 0.7789)  6 Si 2.70-2.87
Mg (0.7269, 0.2859, 0.8182)  7 Si 2.75-3.06, 1 Mg 3.05
Mg (0.0502, 0.2281, 0.3563)  5 Si 2.69-2.90
Mg (0.9122, 0.6922, 0.3738)  6 Si 2.85-3.18, 3 Mg 3.02-3.18
Mg (0.6731, 0.3339, 0.5352)  6 Si 2.80-3.10, 1 Mg 3.09
Mg (0.0330, 0.4683, 0.6497)  6 Si 2.77-3.08, 1 Mg 3.05
Mg (0.5401, 0.5485, 0.0160)  5 Si 2.68-2.93
Mg (0.2905, 0.2500, 0.0848)  8 Si 2.72-3.02, 1 Mg 3.04
Si (0.5235, 0.9538, 0.9536)  2 Si 2.34-2.48
Si (0.8937, 0.2467, 0.1524)  4 Si 2.49-2.72, 1 Mg 2.69
Si (0.2840, 0.3804, 0.4590)  2 Si 2.42-2.45
Si (0.9151, 0.9291, 0.5396)  1 Si 2.48, 1 Mg 2.74
Si (0.3525, 0.5427, 0.7248)  3 Si 2.36-2.44
Si (0.1565, 0.6653, 0.8820)  3 Si 2.38-2.61
Si (0.6603, 0.4981, 0.2658)  3 Si 2.44-2.62
Si (0.5458, 0.8739, 0.2424)  3 Si 2.44-2.57, 1 Mg 2.70
Si (0.4241, 0.1787, 0.7567)  3 Si 2.34-2.40
Si (0.3426, 0.0403, 0.6147)  4 Si 2.40-2.51
Si (0.6950, 0.0905, 0.0650)  3 Si 2.47-2.53, 2 Mg 2.72-2.75
Si (0.9567, 0.4220, 0.9335)  2 Si 2.46-2.49, 2 Mg 2.73-2.74
Si (0.6030, 0.7022, 0.6084)  2 Si 2.44-2.51, 1 Mg 2.71
Si (0.0214, 0.0163, 0.7044)  3 Si 2.41-2.61
Si (0.3038, 0.4893, 0.2358)  3 Si 2.45-2.62
Si (0.1918, 0.8733, 0.2161)  3 Si 2.51-2.72

**SG**: No. 1
**Offset from the most stable computed form**: 45 meV per atom
**Uncorrected formation energy**: 0.0970 eV per atom

(3)
A plane-wave DFT calculation with GGA-PBE was carried out for a relaxed Tm7Ni2Te2 crystal.
_Here the entry continues_
4. Spreadsheets
5. Graphic design
6. The Internet
7. E-mail
These modules constitute the core syllabus for the ECDL-KIDS certificate recognised throughout Europe. By the end of Primary School, students may acquire the ECDL e-kids. The examinations take place at our school, which is an officially approved ECDL training centre.ECDL.
In Lower and Upper Secondary School, IT is taught as a formal subject and follows the detailed syllabus of the Pedagogical Institute.
The use of computers nowadays is essential in any activity. Acquiring proper knowledge of computers starts at a young age.
The Aristotle Certification and Training Assessment (ACTA) a spin-off of Aristotle University in Thessaloniki, has created a pioneering programme for children aged 6-12 aimed at teaching them to use computers through games and fun activities.. At the same time, it aims to steer them towards new educational horizons by chiefly using a 'learning by doing' method. .
The key features of the programme are participation in activities, research, observation, experience and discovery..
TheBE ACTAcertifications are divided into four levels.Each level has three modules, and students choose two for assessment.Beginners ACTA is a certificate for children which rewards youngsters who used more specialised, expanded material on both the basics of computer useand on multimedia applications..
The students receivingBE ACTA certificates take part in annual national competitions and awards events, staged by ACTA to support the idea of'IT Education and Participation at a young age'.